Tuesday, March 28, 2006
I've been a bit emotional, haven't I? Therefore, for your sake and for my sake, this will be a update on the Dowling life.It's Tuesday already, almost halfway through the work week and I haven't even mentioned what a wonderful weekend we had.
Friday night brought our young men and women from Generation group (youth group) to our house with questions and comments and a good time of fellowship. (Along with my not so homemade cookies!)
Saturday R.Jay and I enjoyed a nice breakfast together (something very rare for times sake) and we spent a wonderful afternoon and evening at some good friends house being encouraged, strengthened, and refreshed. (And fed with some incredible bbq from - may I dare say the grill master). And let us not forget entertained... with Alyssa's funky dance beats and Lael's eagerness to grow up so she can "stay up late, wear make-up, and wear jewlery."
Sunday brought church with people we love and a restful afternoon as husband and wife. Hiking to Green Pond and sharing in the warmth of spring and fresh new sunsets. That evening a great friend dyed my hair. I am now officially a brunette. No more airheaded blonde jokes.
This week will be busy, as it's already been proved. Last night we sat with the best at our leader's dinner and God encouraged us all that the work we toil at is unto Him, and only Him. That as I grow frustrated at my surroundings and lack of personal or others growth is only because I have not counted my diligence to teach, to grow, and to learn as a priviledge from God. How silly I am to forget such a simple concept! How reminded I am that I need reminding, constantly.
The remainder of this will be hectic, but I will remain strong. Friday is my last day of working my full-time secular job. What peace!
Friday afternoon I'll inherit four children for the weekend ages 1-10. That night we'll cozy into my in-laws home with our Generation friends for burritos and homemade salsa! Saturday brings the ladies luncheon, which reminds me I haven't bought the groceries for the dish I'm preparing! Sunday brings R.Jay and I and four little kiddos to church and then to Watertown in the afternoon. Practice makes perfect! Why not get out parenting skills into shape?
Monday brings rest. Home. Thank you Jesus.
Now you all know what our life entails for now. Have a great day!
Heather Dowling at 12:13 PM
Friday, March 24, 2006
who am i?
Character cannot be developed in ease and quiet.Only through experience of trial and suffering can
the soul be strengthened, vision cleared, ambition
inspired, and success achieved. ~Helen Keller
It sums up the last couple weeks of my life I believe.
April 8th. 1:00pm. Spring Ladies Get-Together. Finally.
Feel free to leave your R.S.V.Ps on here!
More to come
Life less busy
Heather Dowling at 9:10 AM
Wednesday, March 15, 2006
Blown Away
Over the course of the last three days our lovely adirondack scene has been ravaged by frigtening wind gusts, leaving toppled trees and scattered debris over the roads and throughout the once peaceful woody backdrop. Last night I lay in bed feeling my little home shudder in the wind and listening to such a forceful howl through my windows. I was reminded of the disciples fear in Matthew chapter 8 as waves crashed against their boat and wind wailed all around them. Jesus recognized their fear as a lack of faith. And we all know the story, the disciples were amazed that "even the wind and waves obey" what the Lord commanded. I once heard a pastor speak of fear and ask the congregation why on earth would we allow fear into our lives if we have completely submitted our lives to Christ? Why would we ever fear something of this world, even death, when we have such a hope? The unknown is frightening. I lie away at night thinking about all the things I don't know until some sort of fear grips at my stomach. This blustery wind has got my noggin' thinking though. I'm sure victims of Hurricane Katrina can agree that wind is terrifying at times. Something so invisible, yet so destructive..."The wind blows wherever it pleases. You hear its sound, but you cannot tell where it comes from or where it is going. So it is with everyone born of the Spirit." John 3:8
We have such a promise. Such a hope. If Christ is in this wind, I want to be in the center of the storm.
You rebuke the wind and the waves
Once again I find I'm amazed at the power of your will
Because I'm a child of little faith
I feel the wind and forget your grace
And you say, "Peace Be Still."
There on the storm I am learning to let go
The white wave's high, it's crashing o'er the deck
And I don't know where I go
Where are you Lord, is my ship going down?
The mast is gone so throw the anchor
Should I jump and try to swim to land?
There on the storm, teach me God to understand
Of the Will that I just cannot control
There may I see all you love protecting me
I thank you Lord, you are the calmer of the storm.
Heather Dowling at 10:06 AM
Monday, March 13, 2006
I see the lifeless dust now resurrected, swirling up against my window paneAnd carried across the distance comes the long awaited fragrances of earth and rain
And out across the amber field the slender grasses bend and bow and kiss the ground
And in them I see the beauty of the souls who let the Spirit lay them down
These calculated crystals were left in the piece by mistake
/*
(1)
TmTaRu2 | PBE-GGA | relaxed

abc: 4.6016 4.6016 4.6016
angles: 60.00 60.00 60.00
With the nearest neighbours (Å) after each atom.
Sites, in units of the cell vectors:
Tm: 0.0000 0.0000 0.0000  8 Ru 2.82
Ta: 0.5000 0.5000 0.5000  8 Ru 2.82
Ru: 0.2500 0.2500 0.2500  4 Ta 2.82, 4 Tm 2.82
Ru: 0.7500 0.7500 0.7500  4 Ta 2.82, 4 Tm 2.82

space-group type	Fm-3m (225)
ΔH_f (0 K)	-0.46	eV per atom
crystal system	cubic

---

(2)
Ta2VRu | PBE-GGA | relaxed

abc: 4.4743 4.4743 4.4743
angles: 60.00 60.00 60.00
With the nearest neighbours (Å) after each atom.
Sites, in units of the cell vectors:
Ta: 0.2500 0.2500 0.2500  4 Ru 2.74, 4 V 2.74
Ta: 0.7500 0.7500 0.7500  4 Ru 2.74, 4 V 2.74
V: 0.0000 0.0000 0.0000  8 Ta 2.74
Ru: 0.5000 0.5000 0.5000  8 Ta 2.74

space-group type	Fm-3m (225)
ΔH_f (0 K)	-0.28	eV per atom
crystal system	cubic

---

(3)
Ta2RuW | PBE-GGA | relaxed

abc: 4.5422 4.5422 4.5422
angles: 60.00 60.00 60.00
With the nearest neighbours (Å) after each atom.
Sites, in units of the cell vectors:
Ta: 0.2500 0.2500 0.2500  4 W 2.78, 4 Ru 2.78
Ta: 0.7500 0.7500 0.7500  4 W 2.78, 4 Ru 2.78
Ru: 0.0000 0.0000 0.0000  8 Ta 2.78
W: 0.5000 0.5000 0.5000  8 Ta 2.78

space-group type	Fm-3m (225)
ΔH_f (0 K)	-0.28	eV per atom
crystal system	cubic

---

| no. | VASP energy (eV per atom) |
| --- | --- |
| 1 | -9.183 |
| 2 | -10.796 |
| 3 | -11.770 |

=====

(1)
K3MnO4 after structural relaxation, computed with PBE with a Hubbard U.

Formation enthalpy at 0 K (meV/atom): -1773
Volume (Å³/f.u.): 154.0
Piezoelectric modulus e_max (C/m²): 2.17

Cell lengths 6.589, 11.005, 9.684 Å; angles 67.99, 90.00, 107.42 degrees
Positions (direct):
K (0.875, 0.750, 0.375)
K (0.375, 0.750, 0.875)
K (0.625, 0.250, 0.125)
K (0.125, 0.250, 0.625)
K (0.688, 0.375, 0.438)
K (0.188, 0.375, 0.938)
K (0.438, 0.875, 0.188)
K (0.938, 0.875, 0.688)
K (0.312, 0.625, 0.562)
K (0.812, 0.625, 0.062)
K (0.062, 0.125, 0.312)
K (0.562, 0.125, 0.812)
Mn (0.250, 0.500, 0.250)
Mn (0.500, 0.000, 0.500)
Mn (0.750, 0.500, 0.750)
Mn (0.000, 0.000, 0.000)
O (0.171, 0.646, 0.183)
O (0.671, 0.646, 0.683)
O (0.921, 0.146, 0.933)
O (0.421, 0.146, 0.433)
O (0.275, 0.854, 0.567)
O (0.775, 0.854, 0.067)
O (0.025, 0.354, 0.317)
O (0.525, 0.354, 0.817)
O (0.655, 0.006, 0.643)
O (0.155, 0.006, 0.143)
O (0.405, 0.506, 0.393)
O (0.905, 0.506, 0.893)
O (0.899, 0.494, 0.607)
O (0.399, 0.494, 0.107)
O (0.649, 0.994, 0.357)
O (0.149, 0.994, 0.857)

(2)
KMn2O4 after structural relaxation, computed with PBE with a Hubbard U.

Formation enthalpy at 0 K (meV/atom): -1798
Volume (Å³/f.u.): 86.8
M_tot (μB per formula unit): 1.0

Cell lengths 10.840, 10.840, 5.906 Å; angles 90.00, 90.00, 90.00 degrees
Positions (direct):
K (0.126, 0.725, 0.139)
K (0.225, 0.874, 0.639)
K (0.275, 0.626, 0.639)
K (0.374, 0.775, 0.139)
K (0.626, 0.225, 0.861)
K (0.725, 0.374, 0.361)
K (0.775, 0.126, 0.361)
K (0.874, 0.275, 0.861)
Mn (0.085, 0.102, 0.372)
Mn (0.091, 0.101, 0.878)
Mn (0.101, 0.409, 0.622)
Mn (0.102, 0.415, 0.128)
*/
And it takes my breath away
And a tear comes to my eye
It feels like something is on the way, so I look up to the sky and...
From the corners of creation
Comes the Fathers holy breath
Riding on a storm with tender fierceness
Stirring my soul to holiness
Warmer weather. Rain and Thunder. Summer storms. I can hardly wait.
*My position at Neighbors of Watertown is now filled. She started today and soon I will be home busy with home and church things. Very nice.
*A wonderful friend from work let me go through bags and boxes of baby girl/boy clothes. Now I'm leaving with a grocery bag full of clothes and booties for a sweet little one. Why not be prepared!?
*My headaches seemed to be getting worse, and this isn't fun at all. I've had one for two days non-stop now. No amount of medicine seems to be helping. Please pray.
*Church was wonderful yesterday. Pastor is speaking out of Joshua with power. Great word, great story, great God.
*I was able to visit with R.Jay's siter, Jennifer, and our niece, Riley, on saturday afternoon. Could any 10-month old possibly be cuter than my niece. I may be biased, but she's absolutely an angel. Blond hair and blue eyes. She was lots of fun but left her aunt with bite marks by the end of the evening. Who can blame such a face? I'd bite if objects were protruding from my gums as well. I do believe though, that such a pretty girl, deserves some cousins by now. Don't you?
*I truly believe CCFC is on the edge of something amazing. I believe our loving Saviour has not passed us by. I believe He is about to pour into our area like He did so long ago. So let it rain, Lord. Let it rain.
Well I suppose those are the tidbits of Dowling world I'll leave you with this afternoon.
Heather Dowling at 10:48 AM
Thursday, March 09, 2006
Miracles are really happening. And I want to see them.I want Pastor Cool's wife to be healed.
I want R.Jay's grandmother's body to be rid of cancer.
I want Tim and Kathy to have a baby.
I want to see our church grow in numbers.
I want to see our youth hungry for Christ.
I want to see our congregation apply the principles.
I want to be a mother and see my husband become a father.
I want to be more like Jesus.
I want more.
What does God want?
Matthew 20:32-34 Jesus stopped and called them. "What do you want me to do for you?" he asked. "Lord," they answered, "we want our sight." Jesus had compassion on them and touched their eyes. Immediately they received their sight and followed him.
Matthew 7:7 Ask and it will be given to you; seek and you will find; knock and the door will be opened to you.
Unrelated to this entry: materials data.
........
No. 1
VASP calculation (PBE-GGA) on a geometry-optimized Ba2Tl7Au structure.

```
Ba2Tl7Au
1.0
5.320 0.000 0.000
0.000 10.776 0.000
0.000 0.000 22.488
Ba Tl Au
8 28 4
direct
0.250 0.751 0.459
0.750 0.249 0.541
0.750 0.251 0.041
0.250 0.749 0.959
0.250 0.996 0.789
0.750 0.004 0.211
0.750 0.496 0.711
0.250 0.504 0.289
0.250 0.475 0.103
0.750 0.525 0.897
0.750 0.975 0.397
0.250 0.025 0.603
0.750 0.647 0.201
0.250 0.353 0.799
0.250 0.147 0.299
0.750 0.853 0.701
0.750 0.601 0.052
0.250 0.399 0.948
0.250 0.101 0.448
0.750 0.899 0.552
0.250 0.850 0.298
0.750 0.150 0.702
0.750 0.350 0.202
0.250 0.650 0.798
0.250 0.461 0.590
0.750 0.539 0.410
0.750 0.961 0.910
0.250 0.039 0.090
0.750 0.602 0.553
0.250 0.398 0.447
0.250 0.102 0.947
0.750 0.898 0.053
0.250 0.734 0.649
0.750 0.266 0.351
0.750 0.234 0.851
0.250 0.766 0.149
0.250 0.258 0.673
0.750 0.742 0.327
0.750 0.758 0.827
0.250 0.242 0.173
```

## Properties
- Formation enthalpy at 0 K: -0.29 eV/atom

No. 2
VASP calculation (PBE-GGA) on a geometry-optimized Li9Nb14S28 structure.

```
Li9Nb14S28
1.0
5.850 0.000 0.000
-2.918 11.835 0.000
-0.006 -3.380 12.948
Li Nb S
9 14 28
direct
0.571 0.643 0.000
0.073 0.645 0.500
0.429 0.357 0.000
0.500 0.500 0.500
0.927 0.355 0.500
0.286 0.072 0.000
0.714 0.928 0.000
0.786 0.071 0.500
0.214 0.929 0.500
0.035 0.572 0.249
0.536 0.572 0.750
0.464 0.428 0.250
0.892 0.286 0.249
0.965 0.428 0.751
0.391 0.286 0.749
0.321 0.143 0.251
0.750 0.000 0.250
0.823 0.144 0.751
0.250 0.000 0.750
0.177 0.856 0.249
0.609 0.714 0.251
0.679 0.857 0.749
0.108 0.714 0.751
0.351 0.537 0.129
0.387 0.606 0.371
0.781 0.394 0.129
0.815 0.463 0.372
0.185 0.537 0.628
0.219 0.606 0.871
0.208 0.251 0.129
0.243 0.320 0.371
0.649 0.463 0.871
0.613 0.394 0.629
0.638 0.109 0.129
0.076 0.320 0.871
0.671 0.178 0.371
0.043 0.251 0.629
0.066 0.965 0.129
0.101 0.035 0.371
0.471 0.109 0.629
0.506 0.178 0.871
0.494 0.822 0.129
0.934 0.035 0.871
0.899 0.965 0.629
0.529 0.891 0.371
0.924 0.680 0.129
0.957 0.749 0.371
0.329 0.822 0.629
0.362 0.891 0.871
0.757 0.680 0.629
0.792 0.749 0.871
```

## Properties
- Formation enthalpy at 0 K: -1.53 eV/atom

No. 3
VASP calculation (PBE-GGA) on a geometry-optimized Pr2Al structure.

```
Pr2Al
1.0
-2.132 4.857 -0.251
-2.681 -1.492 -6.091
-8.210 -3.375 4.440
Pr Al
8 4
direct
0.250 0.806 0.923
0.250 0.306 0.577
0.750 0.194 0.077
0.750 0.694 0.423
0.250 0.977 0.298
0.250 0.477 0.202
0.750 0.023 0.702
0.750 0.523 0.798
0.250 0.289 0.898
0.250 0.789 0.602
0.750 0.711 0.102
0.750 0.211 0.398
```

## Properties
- Formation enthalpy at 0 K: -0.23 eV/atom

No. 4
VASP calculation (PBE-GGA) on a geometry-optimized VZn3 structure.

```
VZn3
1.0
3.832 0.000 0.000
0.000 3.832 0.000
0.000 0.000 3.832
V Zn
1 3
direct
0.000 0.000 0.000
0.000 0.500 0.500
0.500 0.500 0.000
0.500 0.000 0.500
```

## Properties
- Formation enthalpy at 0 K: -0.05 eV/atom

No. 5
VASP calculation (PBE-GGA) on a geometry-optimized GeO2 structure.

```
GeO2
1.0
-2.408 -2.059 -3.017
-1.311 -3.294 3.294
........
Luke 11:9 So I say to you: Ask and it will be given to you; seek and you will find; knock and the door will be opened to you.
Revelation 3:20 Here I am! I stand at the door and knock. If anyone hears my voice and opens the door, I will come in and eat with him, and he with me.
His Word has also told me that if I have faith the size of a mustard seed, I'll see mountains move. It seems He's just wanting me to ask a little more. A lot more.
Heather Dowling at 1:38 PM
Thursday, March 02, 2006
Baby Madison

Congratulations Darren & Angie Cufaude on your new little girl!
Heather Dowling at 9:06 AM